Wanted.
Now echo the listing underneath word for word.

Given.
'''
[1]
An isolated molecule of C7H10, computed with wB97M-V/def2-TZVPD.

Results
HOMO = -9.29 eV
total energy = -7418.5960 eV
LUMO level = 1.095 eV
Kohn-Sham gap = 10.4 eV
SMILES = C[C@]12C[C@@H]3[C@H](C1)[C@@H]32

Geometry as ORCA input:
```
! wB97M-V def2-TZVPD RIJCOSX def2/J DEFGRID3
* xyz 0 1
C -0.680 1.565 -0.990
C -0.001 0.414 -0.296
C 0.246 0.551 1.230
C -0.169 -0.907 1.316
C 0.460 -1.584 0.095
C 1.172 -0.512 -0.734
C -0.846 -0.864 -0.019
H -0.171 2.528 -0.875
H -0.875 1.380 -2.051
H -1.656 1.636 -0.491
H 1.268 0.813 1.538
H -0.468 1.239 1.693
H -0.471 -1.469 2.192
H 0.589 -2.660 0.063
H 2.192 -0.213 -0.455
H 1.142 -0.777 -1.796
H -1.795 -1.187 -0.427
*
```

***

[2]
A structure of composition C12H16Cl2HfN2O2P at a distorted geometry, computed with wB97M-V/def2-TZVPD.

Results
HOMO = -19.49 eV
total energy = -55390.3816 eV
LUMO level = -12.961 eV
Kohn-Sham gap = 6.5 eV

Geometry as ORCA input:
```
! wB97M-V def2-TZVPD RIJCOSX def2/J DEFGRID3
* xyz 3 1
C 0.528 -3.168 -1.343
C -0.137 -2.050 -0.803
H -0.145 -3.956 -1.739
H 1.230 -3.549 -0.561
H 1.169 -2.796 -2.169
O -1.045 -1.617 -0.152
Cl 1.950 -0.916 -0.192
Hf 0.357 0.954 0.178
P 0.030 0.835 -2.452
C -1.549 1.370 -3.187
C 1.144 2.217 -2.936
H 1.544 -0.830 -3.418
H 0.546 0.031 -4.645
H -0.146 -1.308 -3.683
C 0.539 -0.450 -3.655
H 2.131 2.124 -2.453
H 1.277 2.182 -4.025
H -1.360 1.605 -4.246
H -1.930 2.254 -2.662
H 0.722 3.183 -2.629
H -2.307 0.582 -3.094
C -1.753 0.822 -0.151
O -2.916 0.734 -0.256
Cl 1.142 3.075 0.603
N 0.092 -0.062 7.577
C -0.006 -0.124 6.413
C -0.070 -0.157 4.976
C 0.628 -1.090 4.226
C 0.620 -0.998 2.855
N -0.025 0.012 2.192
C -0.843 0.839 2.912
C -0.839 0.803 4.306
H 1.188 -1.875 4.734
H 1.173 -1.711 2.258
H -1.497 1.533 2.351
H -1.442 1.504 4.870
*
```

***

[3]
A structure of composition C7H7F2N2 at a distorted geometry, computed with wB97M-V/def2-TZVPD.

Results
HOMO = -12.92 eV
total energy = -15777.6068 eV
LUMO level = -3.850 eV
Kohn-Sham gap = 9.1 eV

Geometry as ORCA input:
```
! wB97M-V def2-TZVPD RIJCOSX def2/J DEFGRID3
* xyz 1 1
C 0.069 2.294 -0.234
C 1.513 1.933 -0.403
C -0.330 -1.810 -0.650
C -0.937 1.448 0.071
C 1.907 0.796 0.060
C -0.855 0.035 0.603
C 0.540 -0.450 0.842
N -1.299 -0.953 -0.463
N 0.701 -1.621 0.107
F -2.118 2.090 0.244
F 2.979 0.045 0.014
H -0.190 3.280 -0.391
H 2.244 2.653 -0.857
H -0.404 -2.570 -1.334
H -1.365 -0.075 1.585
H 0.618 -0.702 1.965
H -2.234 -1.112 -0.710
H 1.639 -1.975 0.184
*
```

***

- Which of these has the highest LUMO level?
  C7H10
'''

Response.
[1]
An isolated molecule of C7H10, computed with wB97M-V/def2-TZVPD.

Results
HOMO = -9.29 eV
total energy = -7418.5960 eV
LUMO level = 1.095 eV
Kohn-Sham gap = 10.4 eV
SMILES = C[C@]12C[C@@H]3[C@H](C1)[C@@H]32

Geometry as ORCA input:
```
! wB97M-V def2-TZVPD RIJCOSX def2/J DEFGRID3
* xyz 0 1
C -0.680 1.565 -0.990
C -0.001 0.414 -0.296
C 0.246 0.551 1.230
C -0.169 -0.907 1.316
C 0.460 -1.584 0.095
C 1.172 -0.512 -0.734
C -0.846 -0.864 -0.019
H -0.171 2.528 -0.875
H -0.875 1.380 -2.051
H -1.656 1.636 -0.491
H 1.268 0.813 1.538
H -0.468 1.239 1.693
H -0.471 -1.469 2.192
H 0.589 -2.660 0.063
H 2.192 -0.213 -0.455
H 1.142 -0.777 -1.796
H -1.795 -1.187 -0.427
*
```

***

[2]
A structure of composition C12H16Cl2HfN2O2P at a distorted geometry, computed with wB97M-V/def2-TZVPD.

Results
HOMO = -19.49 eV
total energy = -55390.3816 eV
LUMO level = -12.961 eV
Kohn-Sham gap = 6.5 eV

Geometry as ORCA input:
```
! wB97M-V def2-TZVPD RIJCOSX def2/J DEFGRID3
* xyz 3 1
C 0.528 -3.168 -1.343
C -0.137 -2.050 -0.803
H -0.145 -3.956 -1.739
H 1.230 -3.549 -0.561
H 1.169 -2.796 -2.169
O -1.045 -1.617 -0.152
Cl 1.950 -0.916 -0.192
Hf 0.357 0.954 0.178
P 0.030 0.835 -2.452
C -1.549 1.370 -3.187
C 1.144 2.217 -2.936
H 1.544 -0.830 -3.418
H 0.546 0.031 -4.645
H -0.146 -1.308 -3.683
C 0.539 -0.450 -3.655
H 2.131 2.124 -2.453
H 1.277 2.182 -4.025
H -1.360 1.605 -4.246
H -1.930 2.254 -2.662
H 0.722 3.183 -2.629
H -2.307 0.582 -3.094
C -1.753 0.822 -0.151
O -2.916 0.734 -0.256
Cl 1.142 3.075 0.603
N 0.092 -0.062 7.577
C -0.006 -0.124 6.413
C -0.070 -0.157 4.976
C 0.628 -1.090 4.226
C 0.620 -0.998 2.855
N -0.025 0.012 2.192
C -0.843 0.839 2.912
C -0.839 0.803 4.306
H 1.188 -1.875 4.734
H 1.173 -1.711 2.258
H -1.497 1.533 2.351
H -1.442 1.504 4.870
*
```

***

[3]
A structure of composition C7H7F2N2 at a distorted geometry, computed with wB97M-V/def2-TZVPD.

Results
HOMO = -12.92 eV
total energy = -15777.6068 eV
LUMO level = -3.850 eV
Kohn-Sham gap = 9.1 eV

Geometry as ORCA input:
```
! wB97M-V def2-TZVPD RIJCOSX def2/J DEFGRID3
* xyz 1 1
C 0.069 2.294 -0.234
C 1.513 1.933 -0.403
C -0.330 -1.810 -0.650
C -0.937 1.448 0.071
C 1.907 0.796 0.060
C -0.855 0.035 0.603
C 0.540 -0.450 0.842
N -1.299 -0.953 -0.463
N 0.701 -1.621 0.107
F -2.118 2.090 0.244
F 2.979 0.045 0.014
H -0.190 3.280 -0.391
H 2.244 2.653 -0.857
H -0.404 -2.570 -1.334
H -1.365 -0.075 1.585
H 0.618 -0.702 1.965
H -2.234 -1.112 -0.710
H 1.639 -1.975 0.184
*
```

***

- Which of these has the highest LUMO level?
  C7H10